(Listing)
'''
[1]
Entry from the OMol25 dataset: 9 unconnected molecules or ions with the total composition C20H59NO9 at a distorted geometry (ωB97M-V/def2-TZVPD).

Structure (SMILES) = COC[C@H](C)N.CCO.CCO.CCO.CCO.CCO.CCO.CCO.CCO
HOMO level = -9.1 eV
Largest force on an atom = 4.109 eV Å⁻¹
Energy above the lowest of the compared OMol25 structures with the same formula, charge and spin = 4.059 eV
DFT total energy = -41607.9962 eV

ORCA input file:
```
! wB97M-V def2-TZVPD RIJCOSX def2/J DEFGRID3
* xyz 0 1
C -4.665 -8.968 -2.184
O -4.123 -8.243 -1.028
C -3.965 -6.831 -1.243
C -2.936 -6.432 -0.195
C -3.250 -6.668 1.269
N -2.516 -5.046 -0.285
H -4.774 -10.035 -1.987
H -4.056 -8.962 -3.088
H -5.672 -8.628 -2.425
H -3.811 -6.521 -2.277
H -4.842 -6.235 -0.990
H -2.053 -7.022 -0.442
H -4.107 -6.106 1.641
H -2.507 -6.187 1.905
H -3.211 -7.717 1.562
H -1.768 -5.025 0.394
H -2.148 -4.866 -1.208
C 2.968 1.167 0.648
C 1.587 1.323 1.160
O 1.537 2.442 2.003
H 3.624 0.772 1.423
H 3.230 2.135 0.220
H 3.016 0.432 -0.155
H 1.269 0.420 1.679
H 1.049 1.650 0.269
H 1.645 3.157 1.371
C -4.089 -0.745 4.818
C -5.536 -0.995 4.548
O -5.864 -1.975 5.382
H -3.892 -0.433 5.843
H -3.751 0.153 4.301
H -3.450 -1.613 4.661
H -5.684 -1.171 3.483
H -6.146 -0.101 4.680
H -6.493 -2.546 4.935
C 6.613 0.928 -4.862
C 7.002 -0.516 -5.154
O 5.918 -1.309 -5.628
H 6.088 1.488 -5.636
H 7.451 1.498 -4.461
H 6.044 1.032 -3.938
H 7.373 -0.872 -4.192
H 7.675 -0.466 -6.010
H 6.307 -2.109 -5.988
C -1.221 -0.515 -4.916
C -0.460 -1.722 -5.416
O -1.238 -2.864 -5.385
H -1.674 -0.948 -4.024
H -1.922 -0.162 -5.673
H -0.508 0.267 -4.657
H 0.458 -1.891 -4.852
H -0.267 -1.396 -6.438
H -0.764 -3.574 -5.824
C -4.250 4.270 0.730
C -5.212 5.199 1.437
O -5.729 4.627 2.573
H -4.434 3.200 0.827
H -3.250 4.476 1.112
H -4.095 4.458 -0.332
H -6.055 5.468 0.799
H -4.817 6.164 1.754
H -6.300 3.917 2.270
C 2.968 -7.128 3.457
C 3.582 -5.750 3.368
O 3.030 -5.031 2.246
H 3.199 -7.689 2.552
H 1.888 -7.074 3.600
H 3.404 -7.673 4.294
H 4.657 -5.833 3.205
H 3.378 -5.145 4.252
H 3.374 -5.398 1.429
C 4.369 6.891 -2.443
C 2.813 6.747 -2.629
O 2.182 6.538 -1.394
H 4.836 6.868 -3.428
H 4.951 6.249 -1.782
H 4.605 7.896 -2.094
H 2.737 5.918 -3.332
H 2.312 7.568 -3.142
H 2.083 7.354 -0.899
C 2.516 8.715 4.263
C 1.184 8.905 3.499
O 1.461 9.735 2.370
H 2.126 8.091 5.067
H 2.792 9.668 4.715
H 3.438 8.300 3.855
H 0.501 9.421 4.174
H 0.581 8.020 3.292
H 1.683 10.609 2.700
*
```

Löwdin population analysis, charges in e, atoms 1 to 5: C -0.08; O -0.19; C -0.20; C -0.47; C -0.06

***

[2]
Entry from the OMol25 dataset: 10 unconnected molecules or ions with the total composition C20H60N2O10 at a distorted geometry (ωB97M-V/def2-TZVPD).

Structure (SMILES) = NC(N)=O.CC(C)O.CC(C)O.CC(C)O.CC(C)O.CC(C)O.CO.CO.CO.CO
HOMO level = -9.0 eV
Largest force on an atom = 13.557 eV Å⁻¹
Energy above the lowest of the compared OMol25 structures with the same formula, charge and spin = 1.001 eV
DFT total energy = -45160.4843 eV

ORCA input file:
```
! wB97M-V def2-TZVPD RIJCOSX def2/J DEFGRID3
* xyz 0 1
N -24.804 -8.676 4.672
C -25.115 -9.882 5.167
N -24.191 -10.837 5.044
O -26.376 -10.142 5.703
H -25.378 -7.789 4.887
H -23.809 -8.458 4.461
H -24.418 -11.799 5.256
H -23.534 -10.757 4.287
C -22.628 -4.386 2.499
C -23.846 -4.781 3.226
C -24.117 -3.660 4.260
O -24.933 -4.803 2.624
H -21.865 -4.327 3.224
H -22.812 -3.447 1.933
H -22.279 -5.100 1.805
H -23.934 -5.797 3.641
H -24.362 -2.686 3.788
H -23.256 -3.432 4.842
H -24.930 -3.883 4.974
H -25.500 -5.306 3.212
C -22.396 -11.936 9.438
C -23.337 -11.590 8.328
C -24.668 -11.039 8.796
O -22.914 -10.695 7.504
H -21.532 -12.395 9.045
H -22.908 -12.738 10.024
H -22.138 -11.053 10.000
H -23.549 -12.603 7.928
H -25.204 -11.682 9.450
H -25.353 -10.888 8.003
H -24.658 -10.160 9.384
H -23.295 -10.829 6.607
C -20.876 -9.258 5.238
C -21.775 -7.994 5.095
C -20.977 -6.753 5.413
O -22.273 -7.968 3.957
H -20.394 -9.130 6.205
H -19.959 -9.171 4.593
H -21.248 -10.237 5.066
H -22.535 -8.110 5.826
H -20.538 -6.793 6.422
'''
(Work order)
Write out the lines earlier on from the one with "-4.862" to the one with "2.182 6.538" character by character, please.
(Done)
C 6.613 0.928 -4.862
C 7.002 -0.516 -5.154
O 5.918 -1.309 -5.628
H 6.088 1.488 -5.636
H 7.451 1.498 -4.461
H 6.044 1.032 -3.938
H 7.373 -0.872 -4.192
H 7.675 -0.466 -6.010
H 6.307 -2.109 -5.988
C -1.221 -0.515 -4.916
C -0.460 -1.722 -5.416
O -1.238 -2.864 -5.385
H -1.674 -0.948 -4.024
H -1.922 -0.162 -5.673
H -0.508 0.267 -4.657
H 0.458 -1.891 -4.852
H -0.267 -1.396 -6.438
H -0.764 -3.574 -5.824
C -4.250 4.270 0.730
C -5.212 5.199 1.437
O -5.729 4.627 2.573
H -4.434 3.200 0.827
H -3.250 4.476 1.112
H -4.095 4.458 -0.332
H -6.055 5.468 0.799
H -4.817 6.164 1.754
H -6.300 3.917 2.270
C 2.968 -7.128 3.457
C 3.582 -5.750 3.368
O 3.030 -5.031 2.246
H 3.199 -7.689 2.552
H 1.888 -7.074 3.600
H 3.404 -7.673 4.294
H 4.657 -5.833 3.205
H 3.378 -5.145 4.252
H 3.374 -5.398 1.429
C 4.369 6.891 -2.443
C 2.813 6.747 -2.629
O 2.182 6.538 -1.394